Search the block further down for the word "of" and restate each line that has it, please.

=====
No. 1
This record from OMol25 describes 2 unconnected molecules or ions with the total composition C3H10N2O in a non-equilibrium geometry. The level of theory is ωB97M-V/def2-TZVPD.

Its energy above the lowest of the compared OMol25 structures with the same formula, charge and spin is 34.8 kcal per mole. Its strongest force on any atom is 1.2 eV/Å. As for the spin multiplicity: 1. The structure (SMILES) is CC/N=C\N.O. Its frontier orbital gap is 9.560 eV. The calculation puts the HOMO energy at -8.56 eV.

Geometry (Å):
1 C -0.17 0.14 -1.68
2 C 0.42 0.86 -0.49
3 N 0.72 -0.10 0.57
4 C 1.46 0.20 1.53
5 N 1.64 1.43 2.13
6 H -0.46 0.89 -2.42
7 H 0.51 -0.59 -2.14
8 H -1.06 -0.42 -1.40
9 H 1.41 1.25 -0.78
10 H -0.16 1.78 -0.29
11 H 2.18 -0.48 1.99
12 H 1.14 2.23 1.78
13 H 2.18 1.44 2.97
14 O -3.23 -2.21 -1.46
15 H -2.47 -2.79 -1.34
16 H -3.89 -2.86 -1.74

***

No. 2
This record from OMol25 describes 2 unconnected molecules or ions with the total composition C3H10N2O in a non-equilibrium geometry. The level of theory is ωB97M-V/def2-TZVPD.

Its energy above the lowest of the compared OMol25 structures with the same formula, charge and spin is 37.0 kcal per mole. Its strongest force on any atom is 1.9 eV/Å. As for the spin multiplicity: 1. The structure (SMILES) is CC=O.NCN. Its frontier orbital gap is 10.078 eV. The calculation puts the HOMO energy at -9.15 eV.

Geometry (Å):
1 C 1.65 2.19 0.01
2 C 1.72 0.70 0.00
3 O 2.18 0.09 0.94
4 H 2.04 2.74 -0.84
5 H 0.71 2.60 0.36
6 H 2.35 2.53 0.78
7 H 1.41 0.09 -0.87
8 N -1.29 -1.66 -1.15
9 C -1.72 -0.98 0.09
10 N -0.80 -1.06 1.19
11 H -2.01 -2.31 -1.44
12 H -1.18 -1.03 -1.94
13 H -2.65 -1.46 0.37
14 H -1.93 0.08 -0.05
15 H -0.55 -1.99 1.49
16 H 0.06 -0.53 1.05

***

No. 3
This record from OMol25 describes 2 unconnected molecules or ions with the total composition C3H10N2O in a non-equilibrium geometry. The level of theory is ωB97M-V/def2-TZVPD.

Its energy above the lowest of the compared OMol25 structures with the same formula, charge and spin is 37.4 kcal per mole. Its strongest force on any atom is 2.4 eV/Å. As for the spin multiplicity: 1. The structure (SMILES) is CC=O.NCN. Its frontier orbital gap is 10.275 eV. The calculation puts the HOMO energy at -9.20 eV.

Geometry (Å):
1 C 0.25 2.50 4.20
2 C 1.59 2.68 4.82
3 O 1.82 3.37 5.77
4 H -0.07 1.54 3.83
5 H -0.02 3.26 3.47
6 H -0.52 2.64 4.96
7 H 2.44 2.31 4.23
8 N -1.65 -3.19 -5.45
9 C -1.42 -2.22 -4.40
10 N -0.21 -2.32 -3.62
11 H -0.77 -3.32 -5.94
12 H -1.88 -4.10 -5.05
13 H -1.38 -1.25 -4.88
14 H -2.28 -2.15 -3.75
15 H -0.08 -3.25 -3.23
16 H 0.66 -2.23 -4.14

***

No. 4
This record from OMol25 describes C3H10N2O in the gas phase. The level of theory is ωB97M-V/def2-TZVPD.

Its energy above the lowest of the compared OMol25 structures with the same formula, charge and spin is 30.1 kcal per mole. Its strongest force on any atom is 0.8 eV/Å. As for the spin multiplicity: 1. The structure (SMILES) is NC[C@@H](N)CO. Its frontier orbital gap is 10.118 eV. The calculation puts the HOMO energy at -9.02 eV.

Geometry (Å):
1 N 0.69 -0.48 1.85
2 C 0.88 -0.78 0.42
3 C 0.18 0.21 -0.51
4 N 0.47 -0.14 -1.89
5 C -1.31 0.25 -0.20
6 O -1.72 1.60 0.13
7 H 1.60 -0.41 2.29
8 H 0.34 0.48 1.94
9 H 0.49 -1.78 0.21
10 H 1.94 -0.77 0.16
11 H 0.56 1.22 -0.29
12 H 0.81 0.60 -2.48
13 H 0.94 -1.01 -2.00
14 H -1.91 -0.10 -1.05
15 H -1.54 -0.38 0.66
16 H -2.44 1.52 0.76

***

No. 5
This record from OMol25 describes 2 unconnected molecules or ions with the total composition C3H10N2O in a non-equilibrium geometry. The level of theory is ωB97M-V/def2-TZVPD.

Its energy above the lowest of the compared OMol25 structures with the same formula, charge and spin is 30.1 kcal per mole. Its strongest force on any atom is 3.0 eV/Å. As for the spin multiplicity: 1. The structure (SMILES) is [H]/N=C/NCC.O. Its frontier orbital gap is 9.562 eV. The calculation puts the HOMO energy at -8.87 eV.

Geometry (Å):
1 H -0.17 -0.58 3.65
2 N 0.39 -0.12 2.95
3 C -0.15 -0.01 1.81
=====

This record from OMol25 describes 2 unconnected molecules or ions with the total composition C3H10N2O in a non-equilibrium geometry. The level of theory is ωB97M-V/def2-TZVPD.
Its energy above the lowest of the compared OMol25 structures with the same formula, charge and spin is 34.8 kcal per mole. Its strongest force on any atom is 1.2 eV/Å. As for the spin multiplicity: 1. The structure (SMILES) is CC/N=C\N.O. Its frontier orbital gap is 9.560 eV. The calculation puts the HOMO energy at -8.56 eV.
This record from OMol25 describes 2 unconnected molecules or ions with the total composition C3H10N2O in a non-equilibrium geometry. The level of theory is ωB97M-V/def2-TZVPD.
Its energy above the lowest of the compared OMol25 structures with the same formula, charge and spin is 37.0 kcal per mole. Its strongest force on any atom is 1.9 eV/Å. As for the spin multiplicity: 1. The structure (SMILES) is CC=O.NCN. Its frontier orbital gap is 10.078 eV. The calculation puts the HOMO energy at -9.15 eV.
This record from OMol25 describes 2 unconnected molecules or ions with the total composition C3H10N2O in a non-equilibrium geometry. The level of theory is ωB97M-V/def2-TZVPD.
Its energy above the lowest of the compared OMol25 structures with the same formula, charge and spin is 37.4 kcal per mole. Its strongest force on any atom is 2.4 eV/Å. As for the spin multiplicity: 1. The structure (SMILES) is CC=O.NCN. Its frontier orbital gap is 10.275 eV. The calculation puts the HOMO energy at -9.20 eV.
This record from OMol25 describes C3H10N2O in the gas phase. The level of theory is ωB97M-V/def2-TZVPD.
Its energy above the lowest of the compared OMol25 structures with the same formula, charge and spin is 30.1 kcal per mole. Its strongest force on any atom is 0.8 eV/Å. As for the spin multiplicity: 1. The structure (SMILES) is NC[C@@H](N)CO. Its frontier orbital gap is 10.118 eV. The calculation puts the HOMO energy at -9.02 eV.
This record from OMol25 describes 2 unconnected molecules or ions with the total composition C3H10N2O in a non-equilibrium geometry. The level of theory is ωB97M-V/def2-TZVPD.
Its energy above the lowest of the compared OMol25 structures with the same formula, charge and spin is 30.1 kcal per mole. Its strongest force on any atom is 3.0 eV/Å. As for the spin multiplicity: 1. The structure (SMILES) is [H]/N=C/NCC.O. Its frontier orbital gap is 9.562 eV. The calculation puts the HOMO energy at -8.87 eV.